When someone asks, “Who are the best rock bands of our generation that are still active?” Would you consider Jimmy Eat World to be one? I would.
Popular answers to the question above oftentimes are Radiohead, Arcade Fire, Arctic Monkeys and The Strokes—and respectively so.
Of course the list goes on and on and is completely subjective, but every group mentioned above has achieved worldwide fame and the capability of selling out arenas. But not Jimmy Eat World. What they have done, though, is consistently make great and oftentimes boundary-pushing rock music for 24 years.
To clarify, Jimmy Eat World never headlined a major festival, broke numbers with record sales and has only one major hit song, “The Middle.”
“The Middle” was the second single for Jimmy’s breakout album, Bleed American, which came out July 24, 2001—the group’s fourth full-length album at the time. Of the popular groups listed above, only Radiohead had released a single album up to that point. The album, and especially the one major hit, are approaching their 16th birthdays. For many of us, “The Middle” is a staple track of our childhood.
Why bring this question up now? What’s the significance? Well, as some fans may know, after Bleed American, Jimmy Eat World released one more great album in 2004, Futures, before releasing a decade’s worth of less memorable albums and began to lose their edge. That all ended Oct. 21, 2016, when the group’s ninth album dropped, Integrity Blues, and totally put the spotlight back on a once pioneering emotive rock band.
• Records of crystals from another source follow:
____________
## Hf2AlZn6 (GGA-PBE)

Data for a relaxed Hf2AlZn6 crystal.

Summary:
DOS at the Fermi energy = 10.41 states/eV/cell
formation energy from the elements = -0.01 eV per atom
energy = -3.483 eV/atom

Cell lengths 4.3656, 5.4632, 13.4966 Å; angles 90.00, 90.00, 90.00 degrees
Closest atoms and distances in Å follow each position.
Space group Immm (No. 71)
Asymmetric unit:
1 Hf 0.0000 0.0000 0.1073 (multiplicity 4)  10 Zn 2.87-2.93, 1 Hf 2.90, 2 Al 3.09
2 Al 0.0000 0.5000 0.0000 (multiplicity 2)  4 Zn 2.61
3 Zn 0.0000 0.2450 0.3003 (multiplicity 8)  5 Zn 2.57-2.79, 2 Hf 2.87
4 Zn 0.0000 0.2629 0.5000 (multiplicity 4)  4 Zn 2.59-2.87, 2 Al 2.61

***

## TeP (GGA-PBE)

Data for a relaxed TeP crystal.

Summary:
formation energy from raw total energies = 0.3421 eV/atom
DOS at the Fermi energy = 7.92 states/eV/cell
energy = -3.934 eV/atom

Cell lengths 8.5861, 8.5861, 5.7126 Å; angles 90.00, 90.00, 90.00 degrees
Closest atoms and distances in Å follow each position.
Space group I4/m (No. 87)
Asymmetric unit:
1 Te 0.0742 0.2914 0.0000 (multiplicity 8)  4 P 2.65-2.86
2 P 0.0764 0.2954 0.5000 (multiplicity 8)  4 Te 2.65-2.86

***

## Sm6Mg2Os (GGA-PBE)

Data for a relaxed Sm6Mg2Os crystal.

Summary:
DOS at the Fermi energy = 6.44 states/eV/cell
formation energy from the elements = 0.04 eV per atom
energy = -4.706 eV/atom

Cell lengths 6.9149, 5.0509, 8.5209 Å; angles 90.00, 113.88, 90.00 degrees
Closest atoms and distances in Å follow each position.
Space group P2/m (No. 10)
Asymmetric unit:
1 Sm 0.1032 0.0000 0.2077 (multiplicity 2)  1 Os 2.86
2 Sm 0.2394 0.5000 0.5003 (multiplicity 2)  2 Os 3.02, 1 Sm 3.31
3 Sm 0.3957 0.0000 0.7922 (multiplicity 2)  1 Os 2.86
4 Mg 0.2535 0.5000 0.0061 (multiplicity 2)  8 Sm 3.44-3.48, 2 Mg 3.45-3.47
5 Os 0.0000 0.0000 0.5000 (multiplicity 1)  8 Sm 2.86-3.02

***

no.,spin magnetization (μB per formula unit)
1,0.0
2,0.0
3,0.0


Below is crystalline Li14CaZn at its relaxed geometry, with properties calculated at the PBE-GGA level.

Computed properties:
- DFT formation energy (meV/atom) = 9
- density (g/cm3) = 1.002
- N(E_F) (states/eV per atom) = 0.52

Cell lengths 10.0469, 6.0990, 10.9659 Å; angles 90.00, 90.00, 90.00 degrees
With the nearest neighbours (Å) after each atom.
Space group Amm2 (No. 38)
Inequivalent atoms, fractional coordinates:
Li  0.0000  0.0000  0.0000 (multiplicity 2)  10 Li 2.86-3.05
Li  0.0000  0.0000  0.4886 (multiplicity 2)  12 Li 3.05-3.28
Li  0.0000  0.2442  0.2417 (multiplicity 4)  12 Li 2.95-3.24
Li  0.2247  0.0000  0.8393 (multiplicity 4)  7 Li 2.86-3.09
Li  0.2457  0.2392  0.0793 (multiplicity 8)  9 Li 2.92-3.24, 1 Zn 3.08, 1 Ca 3.24
Li  0.2720  0.0000  0.3233 (multiplicity 4)  1 Zn 2.89, 6 Li 3.03-3.09
Li  0.5000  0.2477  0.9367 (multiplicity 4)  1 Zn 2.90, 6 Li 3.00-3.08, 2 Ca 3.10-3.17
Ca  0.5000  0.0000  0.6894 (multiplicity 2)  2 Zn 3.06, 10 Li 3.10-3.24
Zn  0.5000  0.0000  0.1628 (multiplicity 2)  8 Li 2.89-3.08, 2 Ca 3.06
____________
Integrity Blues has easily become one of my favorite albums of 2016. To sum it up briefly, I’ll quote Pitchfork writer Ian Cohen in his review of the album:
“The expansive, emotionally weathered Integrity Blues is perhaps Jimmy Eat World’s best record since Bleed American, and even serves as its unlikely spiritual sequel.”
The idea of Jimmy Eat World being a top rock band of our generation came to me after I finally saw the band for the first time of my life this past Christmas break in New York City.
The show was flat out mesmerizing. I watched a band I’ve known for my entire memorable life go out on the stage and own the crowd with hard-hitting classics and well-crafted new tracks. The campaign was aided by the intimate capacity of 1,500 people—small for a band with their stature—which meant almost everybody in the crowd knew every word to most songs. But it doesn’t matter. Those guys are straight rock stars. I didn’t just have fun singing tunes I’ve listened to 400 times, I was mesmerized by the performance they put on. The constant energy from lead singer Jim Adkins was inspiring, and the metal/punk noise session during the new track “Pass The Baby” was not what you would expect from a “2000s mainstream emo, alt-rock group” as they have been dubbed. It was the work of a true, tried and seasoned rock band.
Recently in televised media, Jimmy Eat World performed new single “Get Right” on the Conan Show Wednesday, Jan. 11, as well as at the iHeartRadio Theater for iHeartRadio LIVE in Los Angeles two days later. Both performances were great and can be viewed easily online.
Speaking briefly on the history of the band, Jim Adkins formed the band in 1993 at 18 years old. The group never broke up, only switched drummers once in 1995 (and never after) and also never created any form of real controversy. They took understandable creative and touring breaks, but for 24 straight years and counting, the group has been nothing short of active.
Now the real question to answer: why should Ferris State students care about this?
When people ask me what rocks bands are doing it right now, I oftentimes may name bands people have never heard of, because the fastest growing and boundary-pushing artists right now are not rock groups. They tend to be rappers or pop stars, such as Kendrick Lamar and Beyoncé. So now when somebody asks me what rock band is doing it right now, I can confidently say Jimmy Eat World, who most college students should know.
I mean I’ve heard “The Middle” being played in the UC, The Rock, Starbucks, Oakwood, Fraternity houses, Shooters and really anywhere around campus, because it is a “classic” and familiar song, just like All The Small Things by Blink 182. As much as I worship Blink, their 2016 release ‘California’ was arguably their worst album yet. It shyed far away from their punk roots and used a lot of auto-tuned vocals. “Integrity Blues” was a step forward, while also revisiting musical themes from Jimmy Eat World’s beginnings, as vocalist Jim Adkins delivers honest and introspective adult lyrics. After releasing a couple albums that did not achieve the success or push the limits that Bleed American did, Jimmy Eat World took a year away from music, regrouped and produced their best album in 15 years, and display a live performance that literally has me publishing an article about it over a month later. I believe any fan of “The Middle” or rock music in general will find some form of enjoyment or solace in this new album.
I recommend to anyone looking for new rock music to check out “Integrity Blues,” but before that, give Bleed American a full listen and try to tell me it isn’t a fantastic and pioneering emo rock album.